• To do:
Restate the contents underneath from the line with "-0.25716 -0.31031" to the end character by character.
• Excerpt:
____________
C2AuF6NO4S5Sb | ωB97M-V with the def2-TZVPD basis set

Output
⟨S²⟩ = 3.7706
E_LUMO (spin up / spin down) = -0.94 / -4.21 eV
Gap between HOMO and LUMO (spin up / spin down) = 8.76 / 5.29 eV

The geometry in ORCA input format:
```
! wB97M-V def2-TZVPD RIJCOSX def2/J DEFGRID3
* xyz 0 4
Au -0.18470 0.15880 -0.33260
F 2.38130 -3.01480 -1.38880
C 1.78340 -2.83010 -0.21540
F 1.88800 -3.94450 0.48670
F 0.48410 -2.59970 -0.47140
S 2.53590 -1.30140 0.61400
O 1.91340 -0.24520 -0.19770
O 3.93430 -1.42210 0.45910
N 2.09860 -1.28660 2.10550
S 0.57720 -1.17860 2.51230
O -0.05530 0.05530 2.07720
O -0.15680 -2.36820 2.25380
C 0.75590 -0.98590 4.36290
F 1.50750 0.06320 4.65350
F -0.44420 -0.79800 4.89970
F 1.30200 -2.06440 4.90070
S -2.71920 2.64000 2.25870
Sb -2.59340 2.59830 -0.09920
S -2.49470 0.17650 -0.47560
S -0.16390 2.68430 -0.31020
*
```

Here are the Löwdin charges for atoms 1 to 6, given in e:
1 Au 0.472
2 F 0.149
3 C -0.660
4 F 0.168
5 F 0.075
6 S 0.608

----------

Run i
The following is a quantum chemistry calculation of a single C2H4N4S molecule, from OMol25.

Its HOMO energy (spin up / spin down) is -0.2759 / -0.2759 hartree. As for the charge: 0.

Element x y z (Å)
C 1.56362 -1.56733 -0.15766
C 0.52809 -0.63785 -0.03695
N 2.76592 -1.08818 0.09341
N 3.55696 -0.29836 0.19007
N 0.54386 0.68849 0.03919
N -0.62793 1.35502 0.15796
S 1.91338 1.71444 -0.21904
H 1.33250 -2.57807 -0.19968
H -0.43730 -1.14597 0.06473
H -0.41216 2.27974 0.56300
H -0.99120 1.56934 -0.71106

Population analysis type Mulliken, resulting atomic charges in e: number 1, C, carries -0.36; number 2, C, carries 0.11; number 3, N, carries 0.35; number 4, N, carries -0.34; number 5, N, carries 0.27; number 6, N, carries -0.84; number 7, S, carries -0.39; number 8, H, carries 0.36; number 9, H, carries 0.30; number 10, H, carries 0.30; number 11, H, carries 0.25



Run ii
The following is a quantum chemistry calculation of a single C2H4N4S molecule, from OMol25.

Its HOMO energy is -0.3314 hartree. The SMILES is Nc1nncn1S. As for the charge: 0.

Element x y z (Å)
N 0.30628 2.03085 -0.08328
C 0.66684 0.70049 0.00336
N 1.86132 0.22887 0.02337
N 1.76685 -1.16353 0.00824
C 0.51612 -1.45390 -0.01131
N -0.25716 -0.31031 0.00047
S -1.95668 -0.19504 -0.08346
H -0.53466 2.26613 0.38696
H 1.09582 2.65517 0.12545
H 0.12578 -2.46517 -0.00934
H -2.21881 -0.31619 1.23838

Population analysis type Mulliken, resulting atomic charges in e: number 1, N, carries -0.48; number 2, C, carries 0.55; number 3, N, carries -0.48; number 4, N, carries -0.38; number 5, C, carries -0.03; number 6, N, carries -0.10; number 7, S, carries -0.15; number 8, H, carries 0.22; number 9, H, carries 0.28; number 10, H, carries 0.40; number 11, H, carries 0.16



Which of them is the most stable, and which is the least stable? run ii and run i, in that order.



Run i
The following is a quantum chemistry calculation of a 2-piece molecular cluster, C2H4N4S overall, from OMol25.

Its HOMO energy is -0.3528 hartree. The SMILES is c1nnn[nH]1.C=S. As for the charge: 0.

Element x y z (Å)
C 2.37495 0.09622 -0.80620
N 3.51434 -0.47018 -0.42006
N 3.94037 0.34233 0.47542
N 3.30514 1.35356 0.70631
N 2.19632 1.22088 -0.05517
H 1.65027 -0.24527 -1.43748
H 1.56433 1.94860 -0.33880
C -2.34017 -0.07103 0.43486
S -1.05266 0.82598 0.05574
H -2.50188 -0.95000 -0.04696
H -3.10868 0.24483 1.17426

Population analysis type Mulliken, resulting atomic charges in e: number 1, C, carries -0.08; number 2, N, carries -0.29; number 3, N, carries -0.15; number 4, N, carries -0.33; number 5, N, carries 0.10; number 6, H, carries 0.45; number 7, H, carries 0.28; number 8, C, carries -0.32; number 9, S, carries -0.18; number 10, H, carries 0.27; number 11, H, carries 0.24



Run ii
The following is a quantum chemistry calculation of a 2-piece molecular cluster, C2H4N4S overall, from OMol25.

Its HOMO energy is -0.3210 hartree. As for the charge: 0.

Element x y z (Å)
C 1.91600 -0.03226 1.48681
C -0.62218 -1.35656 -0.28182
____________
• Done:
N -0.25716 -0.31031 0.00047
S -1.95668 -0.19504 -0.08346
H -0.53466 2.26613 0.38696
H 1.09582 2.65517 0.12545
H 0.12578 -2.46517 -0.00934
H -2.21881 -0.31619 1.23838

Population analysis type Mulliken, resulting atomic charges in e: number 1, N, carries -0.48; number 2, C, carries 0.55; number 3, N, carries -0.48; number 4, N, carries -0.38; number 5, C, carries -0.03; number 6, N, carries -0.10; number 7, S, carries -0.15; number 8, H, carries 0.22; number 9, H, carries 0.28; number 10, H, carries 0.40; number 11, H, carries 0.16



Which of them is the most stable, and which is the least stable? run ii and run i, in that order.



Run i
The following is a quantum chemistry calculation of a 2-piece molecular cluster, C2H4N4S overall, from OMol25.

Its HOMO energy is -0.3528 hartree. The SMILES is c1nnn[nH]1.C=S. As for the charge: 0.

Element x y z (Å)
C 2.37495 0.09622 -0.80620
N 3.51434 -0.47018 -0.42006
N 3.94037 0.34233 0.47542
N 3.30514 1.35356 0.70631
N 2.19632 1.22088 -0.05517
H 1.65027 -0.24527 -1.43748
H 1.56433 1.94860 -0.33880
C -2.34017 -0.07103 0.43486
S -1.05266 0.82598 0.05574
H -2.50188 -0.95000 -0.04696
H -3.10868 0.24483 1.17426

Population analysis type Mulliken, resulting atomic charges in e: number 1, C, carries -0.08; number 2, N, carries -0.29; number 3, N, carries -0.15; number 4, N, carries -0.33; number 5, N, carries 0.10; number 6, H, carries 0.45; number 7, H, carries 0.28; number 8, C, carries -0.32; number 9, S, carries -0.18; number 10, H, carries 0.27; number 11, H, carries 0.24



Run ii
The following is a quantum chemistry calculation of a 2-piece molecular cluster, C2H4N4S overall, from OMol25.

Its HOMO energy is -0.3210 hartree. As for the charge: 0.

Element x y z (Å)
C 1.91600 -0.03226 1.48681
C -0.62218 -1.35656 -0.28182